View Full Version : please help-blood in mouth -so scared

pussy cat
23-01-10, 22:03
i,ve come accross this site by accident & have realised that i,m not on my own worrying constantly that something bad is wrong with me-i,ve been like this for a number of years now but i thought i had it under contol but i haven,t.my old doctor retired 18 months ago & i have been worse since-he was a lovely man & had been my doc for many years-when i went to see him my symptoms seemed to pale into insignificance as he made light of everything & i felt so much better-my new doctor is good but the magic cure is not there,i hope you can relate to what i am saying - anywayi am sitting here now terrified of what might be wrong with me - again.
i am in my early 60s normal weight & height but suffer with my chest-i have had chronic bronchitis for many years & doc told me ages ago that he would suspect slight emphasimia-i do get chest infections although the last 2yrs or so i have been on a new inhaler-a powdered one - budesonide - 2 puffs morning & night & my breathing is much better & only 1 infection-i don,t even need to use my ventolin inhaler anymore - anyway last april/may i got up 1 morning & blood was in my mouth-bright red,only a small amount & gone within seconds-it was like a small nose bleed but in the mouth,no pain or soreness & couldn,t make out where it had come from-as i hadn,t been rinsing my mouth out after taking my inhaler as you are told to for many weeks previously i thought this maybe the problem so from then on i rinsed out as i should-10 weeks later it happened again,6 weeks later again & now 18 weeks later again.the amount of blood is no more than the first time & its finished in seconds-after the 3rd time i saw the doc - he examined my mouth with his finger & obviously looked at my throat-couldn,t see anything & said that the majority of the time its a dental problem & if it happens again see the dentist-this is awful as i am terrified of dentists.i don,t think it is coming from my teeth or gums because when it happens i feel it on the back of my tounge-iv,e googled it for a simple explanation or at least has anyone else experienced it-could it be as a noose bleed is a small blood vessel bursting? please someone suggest something quite simple it could be & not all the bad things.i,m not coughing or vomiting it up & the fact that it,s happening many weeks apart & not all the time is that better than it happening constantly-please help with a suggestion i may sleep tonight then.thankyou very much

23-01-10, 22:21
It's not easy getting older, is it? I'm the same age as you are. Strange things seem to happen to us!

Anyhow, just figuring that this has been happening sporadically for almost a year and the amount of blood hasn't increased, it doesn't seem llike it could be anything serious. You may had have a slight nose bleed where the small amount of blood dripped to the back of the throat.

Please try to relax and sleep well tonight.

== Attached: data records ==
<<<
[1]
This record from OMol25 describes a 10-piece molecular cluster, C43H71N3O7 overall in a non-equilibrium geometry. The level of theory is the ωB97M-V functional and the def2-TZVPD basis.

energy relative to the best compared isomer or geometry (same formula, charge and spin) = 374.3 kJ/mol
maximum force = 3.91 eV/A
HOMO energy = -9.33 eV
SMILES string = c1ccncc1.c1ccncc1.c1ccncc1.C1CCOC1.C1CCOC1.C1CCOC1.C1CCOC1.C1CCOC1.C1CCOC1.C1CCOC1

Structure (XYZ):
```
124
Properties=species:S:1:pos:R:3:forces:R:3
C -1.289760 -2.145384 5.724005 -0.819 0.716 0.729
C -0.419370 -2.367484 4.475375 -0.796 0.689 -0.096
C 0.463640 -3.519044 4.858205 1.083 -0.053 1.327
O 0.343550 -3.654394 6.275585 0.271 -0.708 0.558
C -0.386320 -2.586034 6.878205 0.429 -1.266 -0.904
H -2.243720 -2.668164 5.655035 0.272 -0.727 0.183
H -1.655340 -1.136424 5.914915 0.445 0.420 -0.448
H 0.175600 -1.471544 4.298205 0.140 -0.002 -0.104
H -1.001500 -2.561024 3.574395 -0.127 0.027 0.059
H 1.508630 -3.250454 4.703485 0.165 -0.183 -0.558
H 0.277600 -4.518524 4.465115 -0.278 0.253 -0.434
H 0.326090 -1.839884 7.230105 -0.083 0.544 -0.222
H -0.799920 -3.051854 7.772655 -0.645 0.329 -0.132
C 4.165680 0.540496 5.655065 -0.517 -1.860 0.733
C 5.115360 0.587856 4.535345 -0.115 0.534 -2.049
C 4.090760 0.564736 3.324555 2.022 -0.210 1.679
O 3.107650 -0.329414 3.817545 -0.866 -0.870 -1.733
C 3.280040 -0.655734 5.175085 -0.140 2.105 0.667
H 3.495570 1.400056 5.669675 0.344 0.176 0.798
H 4.714340 0.184126 6.526885 -0.496 0.920 0.711
H 5.656390 -0.350964 4.653715 0.357 -0.072 -0.814
H 5.829290 1.405996 4.440215 -0.176 0.109 0.253
H 4.619460 0.271056 2.417735 -0.467 -0.560 -0.173
H 3.682360 1.559556 3.146635 -0.183 0.059 0.157
H 3.674140 -1.652724 5.372085 0.313 -0.041 -0.256
H 2.308980 -0.555074 5.659865 -0.181 -0.359 0.006
C -0.888250 -5.728524 -0.974315 0.593 -2.123 2.232
C -0.811760 -4.507564 -1.744595 0.063 0.909 -0.877
C -2.031440 -3.717344 -1.196935 1.151 -1.746 -0.558
O -2.948430 -4.717104 -0.731975 -0.631 -0.195 -0.045
C -2.374400 -6.022324 -0.867585 0.190 -0.185 0.015
H -0.461930 -5.500524 0.002595 -0.435 -0.204 0.621
H -0.272500 -6.572984 -1.283885 -0.169 -0.005 -0.557
H -0.853490 -4.914574 -2.754895 -0.245 1.239 -0.650
H 0.097560 -3.943244 -1.537765 0.108 -0.046 -0.484
H -2.414430 -3.120724 -2.024865 -0.534 0.416 0.604
H -1.655620 -3.217954 -0.303915 -0.335 0.804 -0.266
H -2.838880 -6.578684 -1.681725 0.322 0.450 -0.949
H -2.605460 -6.741374 -0.081665 -0.078 0.772 0.937
C 1.900970 2.080086 -5.962015 -1.499 -0.614 -0.563
C 1.008260 2.493666 -4.776365 0.652 -0.574 -1.019
C 2.063960 2.681526 -3.719935 -0.268 -0.038 0.682
O 3.252540 3.102086 -4.376445 0.528 0.674 -0.402
C 3.140150 2.935506 -5.793085 -1.336 -1.172 0.306
H 1.370350 2.199656 -6.906605 0.117 0.504 -0.195
H 2.117570 1.012066 -5.984515 0.219 -0.045 0.637
H 0.218110 1.778926 -4.546345 0.115 -0.044 0.102
H 0.558680 3.454636 -5.026405 -0.150 0.083 0.122
H 2.339020 1.799066 -3.142275 -0.488 -0.205 -0.064
>>>

23-01-10, 22:28
I have had exactly this. I won't say the 'D' word I know you don't want to hear but would suggest you think two things: -'Teeth' and 'Very easily remedied'.

Very best

/*
Below is the molecule C2H4O2S in a non-equilibrium geometry, with properties calculated with the ωB97M-V functional and the def2-TZVPD basis.

CARTESIAN COORDINATES (ANGSTROEM)
S: 1.389 0.060 -1.662
O: -1.276 -0.354 1.417
O: 0.322 -1.550 0.569
C: 0.216 0.678 -0.427
C: -0.264 -0.538 0.422
H: -0.576 1.211 -0.832
H: 1.555 -1.053 -0.863
H: -1.965 0.156 1.086
H: 0.599 1.390 0.289

Atomic forces in eV per Å
S -0.1 -0.3 0.7
O 2.7 -1.1 -1.0
O 1.0 -1.1 -0.8
C 0.4 -1.8 1.1
C -1.1 1.3 2.6
H -1.7 0.6 -1.2
H 0.2 0.5 -0.8
H -2.0 1.8 -0.9
H 0.7 0.0 0.4

* gap between HOMO and LUMO: 9.9 eV
* SMILES: O=C(O)CS
* E: -17068.5093 eV
* E_LUMO: 0.43 eV
* relative energy (zero: lowest compared OMol25 entry of this formula, charge and spin): 17.6 kcal per mole
* HOMO level: -9.4 eV

Mulliken population analysis, charges in e, atoms 1 to 8:
1 S -0.24
2 O -0.46
3 O -0.47
4 C -0.57
5 C 0.55
6 H 0.37
7 H 0.20
8 H 0.29



Below is a structure of composition C44H42FN11O7SSm in a non-equilibrium geometry, with properties calculated with the ωB97M-V functional and the def2-TZVPD basis.

CARTESIAN COORDINATES (ANGSTROEM)
Sm: -0.866 -1.610 0.543
S: -2.950 -1.917 4.110
F: 3.091 4.110 -0.056
O: -0.993 -1.926 -1.661
O: 2.051 -4.133 2.650
O: -0.314 0.547 -0.462
O: -1.836 -0.554 2.188
O: -1.860 -1.815 2.914
O: -4.095 -3.404 2.219
O: -2.372 -1.257 -3.300
N: 6.577 5.992 -2.916
N: -5.291 -3.108 4.211
N: 2.031 2.691 6.611
N: 0.254 -3.587 1.269
N: 0.735 -0.648 2.651
N: -5.335 -1.408 2.705
N: -2.415 -3.517 0.630
N: -3.294 -0.946 -0.187
N: 1.772 -1.726 0.070
N: 0.937 1.311 -4.301
N: 4.210 4.474 -2.672
C: -1.871 -4.700 1.143
C: -3.854 0.010 -0.919
C: -0.728 -7.127 1.831
C: 3.459 -1.918 1.760
C: 1.151 -0.308 4.980
C: -6.683 -1.562 3.245
C: -0.028 0.387 -4.030
C: 5.289 6.623 -2.523
C: -4.098 -1.896 0.298
C: -4.853 -0.043 2.698
C: 6.328 4.823 -3.800
C: 2.542 2.929 -3.454
C: 1.481 -3.463 1.788
C: 3.112 3.624 -2.399
C: 2.546 -0.836 -0.537
C: 0.055 -5.991 1.789
C: 4.191 -0.903 1.181
C: -4.520 -2.443 3.235
C: -1.401 -1.163 -2.571
C: 0.661 2.852 -6.203
C: -3.477 -2.982 1.097
C: 1.227 1.547 3.463
C: -5.208 0.053 -1.218
C: 0.020 0.781 -1.641
C: -6.687 -2.971 3.833
C: -2.653 -5.847 1.219
C: -0.456 0.062 -2.787
C: 0.847 -1.113 3.892
C: -2.083 -7.063 1.544
C: -0.484 -4.750 1.432
C: 0.992 1.835 -1.956
C: 5.447 3.823 -3.053
C: 2.242 -2.292 1.189
C: 1.359 1.051 4.762
C: 1.523 2.590 -0.908
C: 3.740 -0.368 -0.018
C: 1.712 1.938 5.808
C: -5.466 -1.944 0.044
C: -6.032 -0.950 -0.732
C: 1.302 1.568 -5.683
C: 1.486 2.023 -3.268
C: 2.566 3.450 -1.120
C: 4.455 5.585 -1.777
C: 0.916 0.656 2.455
H: -0.421 2.770 -6.155
H: 2.392 1.604 -5.772
H: 1.220 -0.723 5.973
H: -6.999 -3.710 3.085
H: 7.041 5.664 -2.058
H: 5.993 3.440 -2.172
H: 5.473 7.485 -1.881
H: -3.777 -0.021 2.514
H: 2.207 -0.489 -1.506
H: -2.689 -7.956 1.561
H: -3.190 0.787 -1.275
H: 4.987 5.286 -0.859
H: 2.952 3.100 -4.435
H: 1.351 2.600 3.263
H: -7.088 -0.961 -0.958
H: -0.278 -8.075 2.084
H: -7.422 -1.424 2.452
H: -4.967 -4.040 4.420
H: -3.703 -5.774 0.974
*/


23-01-10, 23:49
Hiya pussy cat.

My husband suffered with this quite a few times during last year, it turned out to be bleeding gums, all sorted with a little scale and polish:) x

pussy cat
24-01-10, 00:13
to the 3 members who have replied to me i can,t thank you enough-someone to just speak to who has listened has helped,trying to calm myself & stop constantly looking in my mouth & waiting for a warm feeling at the back of my tounge-i,ve got to pull myself together

/*
DFT (ωB97M-V/def2-TZVPD) results for 2 unconnected molecules or ions with the total composition C3H8N3.

Values from the calculation:
charge = +1
HOMO energy = -14.502 eV
orbital gap = 0.410 Eh
DFT total energy = -283.0926 a.u.
relative energy (zero: lowest compared OMol25 entry of this formula, charge and spin) = 186.8 kJ/mol

XYZ file:
```
14
C3H8N3 ωB97M-V/def2-TZVPD
N 0.16559 -2.48205 -3.09111
N -0.36233 0.50943 0.44254
N -0.64277 0.86133 2.71588
C 0.23227 -1.82442 -2.14059
C 0.07211 0.85529 1.61535
C 0.45475 0.50013 -0.74964
H 0.13897 -3.01446 -3.93380
H -1.61156 0.57246 2.71314
H -1.32099 0.19461 0.32744
H 1.21217 -0.28199 -0.69593
H 1.11255 1.16289 1.68601
H 0.95685 1.46649 -0.86465
H -0.16894 0.32927 -1.61934
H -0.23866 1.15102 3.59470
```

=====

DFT (ωB97M-V/def2-TZVPD) results for a gas-phase ion, C3H8N3 (charge +1).

Values from the calculation:
charge = +1
HOMO energy = -14.695 eV
orbital gap = 0.397 Eh
DFT total energy = -283.0297 a.u.
relative energy (zero: lowest compared OMol25 entry of this formula, charge and spin) = 351.9 kJ/mol
SMILES = [H]/N=C1/CC[NH2+]N1

XYZ file:
```
14
C3H8N3 ωB97M-V/def2-TZVPD
N -1.00984 -0.78627 -0.19479
N 0.22096 -1.21828 0.28314
N 2.39910 -0.05682 -0.17372
C -1.22411 0.65717 0.17543
C 0.27382 1.15616 0.03309
C 1.18144 -0.04976 -0.05400
H 0.59502 -2.08151 0.08179
H 2.87413 -0.87218 -0.21969
H 0.60841 1.80611 -0.72461
H -1.90352 -1.22113 0.27819
H -2.00093 1.26397 -0.39013
H 0.34727 1.70455 0.93136
H -1.05693 -0.88048 -1.23917
H -1.30482 0.57847 1.21311
```

=====

DFT (ωB97M-V/def2-TZVPD) results for a gas-phase ion, C3H8N3 (charge +1).

Values from the calculation:
charge = +1
HOMO energy = -14.111 eV
orbital gap = 0.392 Eh
DFT total energy = -283.0713 a.u.
relative energy (zero: lowest compared OMol25 entry of this formula, charge and spin) = 242.7 kJ/mol
SMILES = N[C@H]1CN1C=[NH2+]

XYZ file:
```
14
C3H8N3 ωB97M-V/def2-TZVPD
N -0.19667 -0.01736 -0.01894
N 1.57772 1.26020 -1.15180
N -1.86799 -0.61764 1.49354
C 0.94561 -0.91724 -0.08831
C -1.25806 0.21738 0.64374
C 0.81667 0.10337 -1.11446
H 1.54263 1.60929 -2.04947
H -2.66599 -0.22724 1.99211
H 0.82903 -2.03776 -0.04359
H 0.44373 -0.10040 -2.03409
H -1.65121 -1.58005 1.69194
H 1.52978 1.85898 -0.34895
H -1.77579 1.12913 0.32399
H 1.73054 -0.68065 0.70430
```

=====

DFT (ωB97M-V/def2-TZVPD) results for 2 unconnected molecules or ions with the total composition C3H8N3.

Values from the calculation:
charge = +1
HOMO energy (spin up / spin down) = -10.268 / -16.482 eV
orbital gap (spin up / spin down) = 0.235 / 0.313 Eh
DFT total energy = -282.8139 a.u.
relative energy (zero: lowest compared OMol25 entry of this formula, charge and spin) = 415.1 kJ/mol
multiplicity = 3

XYZ file:
```
14
C3H8N3 ωB97M-V/def2-TZVPD
N 0.90378 0.93511 0.09410
N -1.23296 1.44973 -0.10886
N 0.27045 -0.29309 0.52873
C 0.41943 -1.40628 -0.28369
C -1.33391 0.15395 0.51205
C -0.06346 1.72603 -0.46593
H 1.42243 -1.73080 -0.34403
H -1.75885 0.17155 1.42500
*/

24-01-10, 02:16
Like me, you may be grinding your teeth at night or clenching your jaw without realising it as a reaction to anxiety. All this puts pressure on the poor old nashers!:D